Sentinel Node Biopsy and a question

Next to the page, the page also holds crystal structures
+++
(1)
Computed X-ray diffraction stick pattern
Compound: Na6HfBi4
Radiation: Cu Kα (λ = 1.5418 Å)
Structure: DFT lattice parameters and positions (GGA-PBE)

Cell and atoms:
```
Na6HfBi4
1.0
11.0944 0.0000 0.0000
-5.5472 9.6080 0.0000
0.0000 0.0000 6.4689
Na Hf Bi
12 2 8
Direct
0.0068 0.5034 0.0000 Na
0.1444 0.2887 0.2600 Na
0.1444 0.8556 0.2600 Na
0.2887 0.1444 0.7600 Na
0.4966 0.5034 0.0000 Na
0.4966 0.9932 0.0000 Na
0.5034 0.0068 0.5000 Na
0.5034 0.4966 0.5000 Na
0.7113 0.8556 0.2600 Na
0.8556 0.1444 0.7600 Na
0.8556 0.7113 0.7600 Na
0.9932 0.4966 0.5000 Na
0.3333 0.6667 0.7003 Hf
0.6667 0.3333 0.2003 Hf
0.1847 0.3694 0.7576 Bi
0.1847 0.8153 0.7576 Bi
0.3333 0.6667 0.2359 Bi
0.3694 0.1847 0.2576 Bi
0.6306 0.8153 0.7576 Bi
0.6667 0.3333 0.7359 Bi
0.8153 0.1847 0.2576 Bi
0.8153 0.6306 0.2576 Bi
```

Peak list (12 most intense, 2θ from 10° to 80°, low angle first)
2θ = 16.5°, intensity 30; 2θ = 18.5°, intensity 70; 2θ = 23.1°, intensity 98; 2θ = 27.6°, intensity 43; 2θ = 31.2°, intensity 19; 2θ = 32.3°, intensity 100; 2θ = 33.4°, intensity 56; 2θ = 40.0°, intensity 20; 2θ = 43.0°, intensity 65; 2θ = 43.4°, intensity 18; 2θ = 46.1°, intensity 21; 2θ = 67.0°, intensity 19

(2)
Computed X-ray diffraction stick pattern
Compound: NaHfBi2
Radiation: Cu Kα (λ = 1.5418 Å)
Structure: DFT lattice parameters and positions (GGA-PBE)

Cell and atoms:
```
NaHfBi2
1.0
1.7811 1.0283 10.9190
-1.7811 1.0283 10.9190
0.0000 -2.0566 10.9190
Na Hf Bi
1 1 2
Direct
0.0000 0.0000 0.0000 Na
0.5000 0.5000 0.5000 Hf
0.0968 0.0968 0.0968 Bi
0.9032 0.9032 0.9032 Bi
```

Peak list (12 most intense, 2θ from 10° to 80°, low angle first)
2θ = 29.5°, intensity 47; 2θ = 32.1°, intensity 100; 2θ = 32.8°, intensity 17; 2θ = 34.8°, intensity 28; 2θ = 36.5°, intensity 16; 2θ = 40.2°, intensity 64; 2θ = 41.3°, intensity 16; 2θ = 51.3°, intensity 33; 2θ = 61.8°, intensity 16; 2θ = 62.2°, intensity 17; 2θ = 64.4°, intensity 15; 2θ = 67.9°, intensity 23

(3)
Computed X-ray diffraction stick pattern
Compound: NaHfBiSb2
Radiation: Cu Kα (λ = 1.5418 Å)
Structure: DFT lattice parameters and positions (GGA-PBE)

Cell and atoms:
```
NaHfBiSb2
1.0
5.8034 0.0000 0.0000
0.0000 5.8034 0.0000
0.0000 0.0000 5.2047
Na Hf Bi Sb
1 1 1 2
Direct
0.0000 0.0000 0.0000 Na
0.5000 0.5000 0.0000 Hf
0.0000 0.0000 0.5000 Bi
0.0000 0.5000 0.5000 Sb
0.5000 0.0000 0.5000 Sb
```

Peak list (12 most intense, 2θ from 10° to 80°, low angle first)
2θ = 17.0°, intensity 24; 2θ = 23.0°, intensity 100; 2θ = 27.7°, intensity 28; 2θ = 30.8°, intensity 80; 2θ = 34.5°, intensity 31; 2θ = 35.4°, intensity 16; 2θ = 38.8°, intensity 53; 2θ = 44.1°, intensity 30; 2θ = 46.9°, intensity 51; 2θ = 57.2°, intensity 28; 2θ = 60.2°, intensity 15; 2θ = 72.9°, intensity 14

(4)
Computed X-ray diffraction stick pattern
Compound: Hf6NbBi
Radiation: Cu Kα (λ = 1.5418 Å)
Structure: DFT lattice parameters and positions (GGA-PBE)

Cell and atoms:
```
Hf6NbBi
1.0
5.6076 0.0000 0.0000
-0.0115 5.6096 0.0000
-0.0013 -0.0092 5.6139
Hf Nb Bi
6 1 1
Direct
+++

mjfromtx Member Posts: 49
edited March 2014 in Breast Cancer #1
Is it possible to have negative sentinel nodes but positive lymph nodes?

• Misplaced records of crystals:
~~~
# 1
For LiGa4W2O12, a DFT-relaxed cell (PBE+U, the Materials Project) gives the simulated powder diffractogram in this record (λ = 1.5418 Å (Cu Kα)).
Peak positions follow from Bragg's law for the DFT cell and can differ from measured ones.

Crystal structure
Cell lengths 9.2409, 4.7133, 4.7133 Å; angles 88.52, 90.00, 90.00 degrees
Sites, in units of the cell vectors:
Li  0.0000  0.0000  0.0000
Ga  0.1798  0.2151  0.2151
Ga  0.3373  0.6989  0.6989
Ga  0.6627  0.6989  0.6989
Ga  0.8202  0.2151  0.2151
W  0.0000  0.6631  0.6631
W  0.5000  0.1939  0.1939
O  0.0000  0.3833  0.9914
O  0.0000  0.9914  0.3833
O  0.1661  0.8710  0.8710
O  0.1741  0.4931  0.4931
O  0.3422  0.3836  0.9938
O  0.3422  0.9938  0.3836
O  0.5000  0.4869  0.4869
O  0.5000  0.8940  0.8940
O  0.6578  0.3836  0.9938
O  0.6578  0.9938  0.3836
O  0.8259  0.4931  0.4931
O  0.8339  0.8710  0.8710

Main lines, sorted by position (2θ = 10–90°):
| Position (°2θ) | d (Å) | I_rel |
| --- | --- | --- |
| 21.2 | 4.198 | 52.3 |
| 26.4 | 3.376 | 67.0 |
| 27.1 | 3.290 | 68.0 |
| 34.8 | 2.578 | 100.0 |
| 52.2 | 1.752 | 41.0 |
| 53.0 | 1.727 | 42.6 |

***

# 2
For Li2Mn3P4O16, a DFT-relaxed cell (PBE+U, the Materials Project) gives the simulated powder diffractogram in this record (λ = 1.5418 Å (Cu Kα)).
Peak positions follow from Bragg's law for the DFT cell and can differ from measured ones.

Crystal structure
Cell lengths 7.6447, 7.7048, 10.9637 Å; angles 105.77, 105.69, 101.81 degrees
Sites, in units of the cell vectors:
Li  0.0000  0.0000  0.0000
Li  0.0477  0.2608  0.7843
Li  0.2907  0.7308  0.5273
Li  0.5509  0.7544  0.7845
Mn  0.0099  0.2210  0.3059
Mn  0.0212  0.7327  0.7370
Mn  0.4758  0.1835  0.2348
Mn  0.5160  0.7243  0.3012
Mn  0.5230  0.2281  0.7402
Mn  0.9660  0.6752  0.2303
P  0.1581  0.3676  0.1150
P  0.2299  0.4310  0.6130
P  0.3038  0.0147  0.4201
P  0.3913  0.1003  0.9148
P  0.6545  0.8637  0.1116
P  0.7231  0.9353  0.6090
P  0.8028  0.5133  0.4212
P  0.8886  0.5968  0.9125
O  0.0237  0.4316  0.1931
O  0.0289  0.5476  0.8381
O  0.0516  0.2539  0.9674
O  0.0768  0.2851  0.6208
O  0.0970  0.0070  0.3457
O  0.2034  0.4148  0.4615
O  0.2163  0.9390  0.8964
O  0.2176  0.2224  0.1863
O  0.2340  0.6460  0.6778
O  0.2986  0.8041  0.3538
O  0.3268  0.5350  0.1395
O  0.3387  0.0433  0.5713
O  0.3399  0.2418  0.8422
O  0.4400  0.4310  0.6799
O  0.4535  0.1599  0.4008
O  0.4956  0.2037  0.0681
O  0.5223  0.9314  0.1907
O  0.5300  0.0388  0.8417
O  0.5526  0.7642  0.9634
O  0.5651  0.7857  0.6136
O  0.5969  0.5105  0.3472
O  0.7045  0.9108  0.4590
O  0.7202  0.7299  0.1897
O  0.7244  0.4288  0.8927
O  0.7261  0.1437  0.6814
O  0.7935  0.3060  0.3457
O  0.8305  0.0311  0.1369
O  0.8359  0.7508  0.8520
O  0.8409  0.5492  0.5720
O  0.9301  0.9327  0.6834
O  0.9576  0.6588  0.4026
O  0.9950  0.7020  0.0665

Main lines, sorted by position (2θ = 10–90°):
| Position (°2θ) | d (Å) | I_rel |
| --- | --- | --- |
| 17.9 | 4.949 | 49.0 |
| 20.3 | 4.369 | 78.0 |
| 20.5 | 4.326 | 80.3 |
~~~

Also if you have positive sentinel nodes and they say they took two layers of lymph nodes does anyone know what that means?

_What comes next are data records, not part of the page_
- - -
(1)
This entry pairs a crystal structure of LaTb7Er12 with its calculated powder diffractogram. Radiation: Cu Kα (λ = 1.5418 Å). Structure: a GGA-PBE-relaxed structure.

```
20
Lattice="7.845 4.529 2.956 -7.845 4.529 2.956 0.000 -9.059 2.956" Properties=species:S:1:pos:R:3 pbc="T T T"
La 0.000 0.000 0.000
Tb -2.881 -2.207 4.392
Tb -3.352 1.391 4.476
Tb 0.471 -3.598 4.476
Tb 0.000 0.000 4.434
Tb -0.471 3.598 4.392
Tb 3.352 -1.391 4.392
Tb 2.881 2.207 4.476
Er -2.400 -0.209 1.733
Er -6.174 -0.853 4.513
Er -2.349 -5.773 4.355
Er 1.381 -1.974 1.733
Er 1.019 2.183 1.733
Er -3.825 4.920 4.355
Er 3.825 -4.920 4.513
Er -1.019 -2.183 7.135
Er -1.381 1.974 7.135
Er 2.349 5.773 4.513
Er 6.174 0.853 4.355
Er 2.400 0.209 7.135
```

Peak list (8 most intense, 10 to 90 degrees two-theta, in order of rising 2θ)
| Position (°2θ) | intensity |
| --- | --- |
| 30.22 | 39 |
| 30.39 | 100 |
| 35.19 | 78 |
| 50.52 | 25 |
| 50.73 | 25 |
| 60.01 | 11 |
| 60.23 | 33 |
| 63.24 | 12 |

(2)
This entry pairs a crystal structure of LaTb6Er2 with its calculated powder diffractogram. Radiation: Cu Kα (λ = 1.5418 Å). Structure: a GGA-PBE-relaxed structure.

```
18
Lattice="6.424 -7.076 0.000 6.424 7.076 0.000 -1.509 0.000 6.446" Properties=species:S:1:pos:R:3 pbc="T T T"
La 5.293 5.333 4.834
La 6.047 -5.333 1.611
Tb 0.519 1.215 5.302
Tb 2.952 2.841 1.752
Tb 1.274 -1.215 2.079
Tb 4.465 2.605 6.445
Tb 6.121 2.605 3.224
Tb 2.197 -2.841 4.975
Tb 9.143 2.841 1.471
Tb 5.219 -2.605 3.222
Tb 6.875 -2.605 0.001
Tb 10.067 1.215 4.366
Tb 8.389 -2.841 4.694
Tb 10.821 -1.215 1.144
Er 3.679 0.345 4.091
Er 4.434 -0.345 0.868
Er 6.906 0.345 5.578
Er 7.661 -0.345 2.355
```

Peak list (8 most intense, 10 to 90 degrees two-theta, in order of rising 2θ)
| Position (°2θ) | intensity |
| --- | --- |
| 28.76 | 96 |
| 30.87 | 100 |
| 31.27 | 75 |
| 31.46 | 83 |
| 32.43 | 55 |
| 33.07 | 47 |
| 33.63 | 49 |
| 34.07 | 49 |

* * * * *

[1]
Structure and simulated powder diffraction line list of NaMnSb (a structure optimized by DFT (GGA-PBE); copper Kα).
Lines closer than 0.1° are merged.

Most intense lines, 10 to 90 degrees two-theta, by angle:
d = 7.493 Å, 2θ 11.81, rel. 58; d = 3.812 Å, 2θ 23.34, rel. 100; d = 3.131 Å, 2θ 28.51, rel. 25; d = 2.860 Å, 2θ 31.28, rel. 25; d = 2.402 Å, 2θ 37.43, rel. 92; d = 2.214 Å, 2θ 40.76, rel. 48; d = 2.175 Å, 2θ 41.51, rel. 25; d = 1.914 Å, 2θ 47.49, rel. 30; d = 1.552 Å, 2θ 59.58, rel. 17; d = 1.312 Å, 2θ 72.00, rel. 25

Atomic structure:
Cell lengths 4.428, 4.428, 7.493 Å; angles 90.00, 90.00, 90.00 degrees
Element x y z (fractional)
Na: 0.250 0.250 0.151
Na: 0.750 0.750 0.849
Mn: 0.250 0.750 0.500
Mn: 0.750 0.250 0.500
Sb: 0.250 0.250 0.717
Sb: 0.750 0.750 0.283

---

[2]
Structure and simulated powder diffraction line list of Si4Rh3 (a structure optimized by DFT (GGA-PBE); copper Kα).
Lines closer than 0.1° are merged.

Most intense lines, 10 to 90 degrees two-theta, by angle:
- - -

I have gotten two different pieces of communication one from the surgeon through my mom and a co worker (I didn't talk to him because I was still in recovery) and the second was from the ARNP who was in the operating room when the surgery was completed and told me the next day. She didn't know how many lymph nodes they took but will find all of that out on Monday when I go for post op exam and they take out the drainage tubes. I'm confused! Thanks! MJ


  • mgm42
    mgm42 Member Posts: 491 Member
    Sentinel Nodes
    I cannot answer your question directly, but I can tell you that my surgeon informed me (right after the lumpectomy) that my sentinel nodes were clear, but that we had to wait about three days for the biopsy on the other nodes which were removed. This leads me to believe that there is always the possibility and that's why they biopsy all of the removed nodes. Hope this helps. Marilynn
  • Derbygirl
    Derbygirl Member Posts: 198
    Sentinel Nodes
    I guess it's possible, but the sentinel node is the first node or group of nodes affected if cancer has spread to the lymph nodes. My breast cancer surgeon removed one node in June (the only one which received the radioactive dye) which was the sentinel node. While I was asleep the pathologist did an exam of the specimen under the microscope and said it was negative for cancer. No other lymph nodes were removed (dissection) and no drainage tube inserted. I have about a 2 inch scar. Pathology Report later that week confirmed it was negative also. Don't know about "layers" but the sentinel node makes reference to the first node or a group of nodes. Talk to your surgeon and ask for a copy of the pathology report for your records.
  • cabbott
    cabbott Member Posts: 1,039 Member
    Sentinel Nodes
    A while back doctors theorized that lymph fluid drains from the breast through a series of nodes that would stretch like a line or a ladder if they were positioned end to end. Before this theory, they were thought to be more like a net with no discrete beginning but more like a flow in a general direction through a net-like arrangement. The development of new dyes and technology made it possible to inject dye into the breast and "see" (either with radioactive technology &/or with dark inks that you could physically see) which node the lymph fluid drained into first. The dyes "proved" the theory about the nodes draining more like a line or a ladder where you had to go by the first node before you came to the next one like going up a ladder. If there is cancer in a breast AND the cells have developed into something nasty that can set up camp elsewhere (that's what metastisis is), the first place that the cells stop and make camp is the nodes under the arm beginning with the first node they come to. This is the so-called sentinel node. If the cancer is NOT in the sentinel node, it probably isn't in any of the other nodes. The surgeon can check the sentinel node for cancer under a microscope for obvious cancer. If he sees any, he will remove several more nodes. The nodes are arranged in areas and usually the first level and often the second is removed to stage the cancer when the sentinel node is positive. If several nodes are found to be positive, the cancer is considered more aggressive. While this doesn't sound like great news, it is still better to know that than not know when you have aggressive cancer. Aggressive cancer demands aggressive treatment and failing to treat someone adequately can have serious consequences when we are talking about aggressive cancer. A surgeon experienced in doing sentinel node operations would not normally remove even just the first level of nodes if the sentinel node was negative. Cancer might possibly travel in another direction, but it is unlikely and you can be relatively sure of the results if your surgeon has lots of experience and usually gets good results. However, it takes time to develop compentency and surgeons don't dare miss cancer that is there. Beginning surgeons have to follow up a negative node operation with a standard dissection for lots of operations (I can't remember if it was 50 or 150 that they had to do but it is lots) from what I've been told just to develop competency. Um, my first surgeon was very nice but not experienced in this operation having done something like 12 of them and told me he would do a sentinel node operation but follow it up with a standard dissection. I switched after learning I had options.

    When I woke up from my operation, I had a drain for the mastectomy that came out near under my arm but it was a drain for the mastectomy not the node operation. The surgeon said that the sentinel node was negative as far as he could see. I asked if I was "home free". He said no. The pathologist had to do frozen slices to check for micro-metastises. Fortunately, they came back negative too. I still had to go to the oncologist. If I had had a lumpectomy, he would have ordered radiation. Because of the mastectomy, I skipped that and went straight to medical treatment. The oncologist decided that since the nodes were negative and my tumors were small and they were estrogen positive, hormone treatment was sufficient. Obviously, they have to keep lots of stuff in mind to decide what is best. It gets confusing, so come back here and ask whenever you need to. Good luck at your appointment!

    C. Abbott
  • Eil4186
    Eil4186 Member Posts: 949
    I'm assuming they want to
    I'm assuming they want to wait for the path report before meeting with you. My surgeon told me in the recovery room after my lumpectomy that my nodes "looked clear" (he removed 2) and then called me on the phone when he got the biopsy results. They were both negative. He then gave me more specific information at my post-op exam.